........
Compound: ScCu2Au2
Source: Alexandria
Functional: PBE-GGA
Structure: optimized geometry

Summary:
**Density**: 11.41 g cm⁻³
**Formation energy from the elements**: -0.29 eV/atom
**Energy relative to the lowest polymorph listed for this composition**: 19 meV per atom
**Total DFT energy (no corrections)**: -4.506 eV per atom

abc: 6.9728 6.9728 3.3877
angles: 90.00 90.00 90.00
Last column: nearest neighbours and their distance in Å.
Space group P4/mbm (No. 127)
Symmetry-distinct sites (fractional):
Sc: 0.0000 0.0000 0.0000 x2  4 Cu 2.77, 8 Au 3.08
Cu: 0.1226 0.3774 0.0000 x4  1 Cu 2.42, 2 Au 2.61
Au: 0.1761 0.6761 0.5000 x4  6 Cu 2.61-2.71

=====

Compound: AcLaNdAg
Source: Alexandria
Functional: PBE-GGA
Structure: optimized geometry

Summary:
**Density**: 7.76 g cm⁻³
**Formation energy from the elements**: 0.13 eV/atom
**Energy relative to the lowest polymorph listed for this composition**: 243 meV per atom
**Total DFT energy (no corrections)**: -4.030 eV per atom

abc: 8.0872 8.0872 8.0872
angles: 90.00 90.00 90.00
Last column: nearest neighbours and their distance in Å.
Space group F-43m (No. 216)
Symmetry-distinct sites (fractional):
Ac: 0.0000 0.0000 0.0000 x4  4 La 3.50, 4 Nd 3.50
La: 0.2500 0.2500 0.2500 x4  4 Ac 3.50, 4 Ag 3.50
Nd: 0.2500 0.2500 0.7500 x4  4 Ac 3.50, 4 Ag 3.50
Ag: 0.0000 0.0000 0.5000 x4  4 Nd 3.50, 4 La 3.50

=====

Compound: Sn2PdIO
Source: Alexandria
Functional: PBE-GGA
Structure: optimized geometry

Summary:
**Density**: 7.06 g cm⁻³
**E_form (uncorrected)**: -59 kJ/mol of formula units
**Total DFT energy (no corrections)**: -4.064 eV per atom

abc: 5.1683 5.1683 4.2869
angles: 90.00 90.00 90.00
Last column: nearest neighbours and their distance in Å.
Space group P4/mmm (No. 123)
Symmetry-distinct sites (fractional):
Sn: 0.0000 0.5000 0.0000 x2  2 O 2.58
Pd: 0.0000 0.0000 0.5000 x1  2 O 2.14
I: 0.5000 0.5000 0.5000 x1  8 Sn 3.36, 4 Pd 3.65
O: 0.0000 0.0000 0.0000 x1  2 Pd 2.14

=====

Compound: BaNaP3H3N3O6
Source: Alexandria
Functional: PBE-GGA
Structure: optimized geometry

Summary:
**Density**: 3.14 g cm⁻³
**Total DFT energy (no corrections)**: -6.608 eV per atom

abc: 11.0068 10.4556 8.0583
angles: 90.00 115.98 90.00
Last column: nearest neighbours and their distance in Å.
Space group C2/m (No. 12)
Symmetry-distinct sites (fractional):
Ba: 0.0674 0.0000 0.3041 x4  8 O 2.70-3.02
Na: 0.0000 0.3212 0.5000 x4  4 O 2.34-2.45
P: 0.1985 0.5000 0.9175 x4  2 O 1.52, 2 N 1.69
P: 0.2060 0.3583 0.2417 x8  2 O 1.51-1.52, 1 N 1.68
H: 0.0671 0.5000 0.2940 x4  1 N 1.04
H: 0.0787 0.3195 0.9280 x8  1 N 1.03
N: 0.1609 0.3722 0.0140 x8  1 H 1.03
N: 0.1661 0.5000 0.3108 x4  1 H 1.04
O: 0.1043 0.5000 0.7119 x4  1 P 1.52
O: 0.1170 0.2576 0.2673 x8  1 P 1.51
O: 0.1410 0.1500 0.6555 x8  1 P 1.52
O: 0.1510 0.0000 0.0282 x4  1 P 1.52

=====

Compound: KNaP2Cl
Source: Alexandria
Functional: PBE-GGA
Structure: optimized geometry

Summary:
**Density**: 1.21 g cm⁻³
**E_form (uncorrected)**: 279 kJ/mol of formula units
**Energy relative to the lowest polymorph listed for this composition**: 311 meV per atom
**Total DFT energy (no corrections)**: -2.439 eV per atom

abc: 6.1760 6.1760 5.7598
angles: 90.00 90.00 90.00
Last column: nearest neighbours and their distance in Å.
Space group P4/mmm (No. 123)
Symmetry-distinct sites (fractional):
K: 0.0000 0.0000 0.0000 x1  2 Cl 2.88, 4 P 3.09
Na: 0.5000 0.5000 0.5000 x1  8 P 4.22, 4 Cl 4.37
P: 0.0000 0.5000 0.0000 x2  2 K 3.09
Cl: 0.0000 0.0000 0.5000 x1  2 K 2.88

=====

Compound: Dy3Al5Au6
Source: Alexandria
Functional: PBE-GGA
Structure: optimized geometry

Summary:
**Density**: 10.92 g cm⁻³
**Formation energy from the elements**: -0.69 eV/atom
**Total DFT energy (no corrections)**: -4.420 eV per atom

abc: 4.4037 13.2275 9.4191
angles: 90.00 90.00 90.00
Last column: nearest neighbours and their distance in Å.
Space group Pmmn (No. 59, origin choice 2)
Symmetry-distinct sites (fractional):
Dy: 0.2500 0.0512 0.2476 x4  6 Au 3.05-3.26, 6 Al 3.14-3.39
........
Start at the top of the contents earlier on and transcribe each line, ending with the one that has "Cl: 0.0000".
Compound: ScCu2Au2
Source: Alexandria
Functional: PBE-GGA
Structure: optimized geometry

Summary:
**Density**: 11.41 g cm⁻³
**Formation energy from the elements**: -0.29 eV/atom
**Energy relative to the lowest polymorph listed for this composition**: 19 meV per atom
**Total DFT energy (no corrections)**: -4.506 eV per atom

abc: 6.9728 6.9728 3.3877
angles: 90.00 90.00 90.00
Last column: nearest neighbours and their distance in Å.
Space group P4/mbm (No. 127)
Symmetry-distinct sites (fractional):
Sc: 0.0000 0.0000 0.0000 x2  4 Cu 2.77, 8 Au 3.08
Cu: 0.1226 0.3774 0.0000 x4  1 Cu 2.42, 2 Au 2.61
Au: 0.1761 0.6761 0.5000 x4  6 Cu 2.61-2.71

=====

Compound: AcLaNdAg
Source: Alexandria
Functional: PBE-GGA
Structure: optimized geometry

Summary:
**Density**: 7.76 g cm⁻³
**Formation energy from the elements**: 0.13 eV/atom
**Energy relative to the lowest polymorph listed for this composition**: 243 meV per atom
**Total DFT energy (no corrections)**: -4.030 eV per atom

abc: 8.0872 8.0872 8.0872
angles: 90.00 90.00 90.00
Last column: nearest neighbours and their distance in Å.
Space group F-43m (No. 216)
Symmetry-distinct sites (fractional):
Ac: 0.0000 0.0000 0.0000 x4  4 La 3.50, 4 Nd 3.50
La: 0.2500 0.2500 0.2500 x4  4 Ac 3.50, 4 Ag 3.50
Nd: 0.2500 0.2500 0.7500 x4  4 Ac 3.50, 4 Ag 3.50
Ag: 0.0000 0.0000 0.5000 x4  4 Nd 3.50, 4 La 3.50

=====

Compound: Sn2PdIO
Source: Alexandria
Functional: PBE-GGA
Structure: optimized geometry

Summary:
**Density**: 7.06 g cm⁻³
**E_form (uncorrected)**: -59 kJ/mol of formula units
**Total DFT energy (no corrections)**: -4.064 eV per atom

abc: 5.1683 5.1683 4.2869
angles: 90.00 90.00 90.00
Last column: nearest neighbours and their distance in Å.
Space group P4/mmm (No. 123)
Symmetry-distinct sites (fractional):
Sn: 0.0000 0.5000 0.0000 x2  2 O 2.58
Pd: 0.0000 0.0000 0.5000 x1  2 O 2.14
I: 0.5000 0.5000 0.5000 x1  8 Sn 3.36, 4 Pd 3.65
O: 0.0000 0.0000 0.0000 x1  2 Pd 2.14

=====

Compound: BaNaP3H3N3O6
Source: Alexandria
Functional: PBE-GGA
Structure: optimized geometry

Summary:
**Density**: 3.14 g cm⁻³
**Total DFT energy (no corrections)**: -6.608 eV per atom

abc: 11.0068 10.4556 8.0583
angles: 90.00 115.98 90.00
Last column: nearest neighbours and their distance in Å.
Space group C2/m (No. 12)
Symmetry-distinct sites (fractional):
Ba: 0.0674 0.0000 0.3041 x4  8 O 2.70-3.02
Na: 0.0000 0.3212 0.5000 x4  4 O 2.34-2.45
P: 0.1985 0.5000 0.9175 x4  2 O 1.52, 2 N 1.69
P: 0.2060 0.3583 0.2417 x8  2 O 1.51-1.52, 1 N 1.68
H: 0.0671 0.5000 0.2940 x4  1 N 1.04
H: 0.0787 0.3195 0.9280 x8  1 N 1.03
N: 0.1609 0.3722 0.0140 x8  1 H 1.03
N: 0.1661 0.5000 0.3108 x4  1 H 1.04
O: 0.1043 0.5000 0.7119 x4  1 P 1.52
O: 0.1170 0.2576 0.2673 x8  1 P 1.51
O: 0.1410 0.1500 0.6555 x8  1 P 1.52
O: 0.1510 0.0000 0.0282 x4  1 P 1.52

=====

Compound: KNaP2Cl
Source: Alexandria
Functional: PBE-GGA
Structure: optimized geometry

Summary:
**Density**: 1.21 g cm⁻³
**E_form (uncorrected)**: 279 kJ/mol of formula units
**Energy relative to the lowest polymorph listed for this composition**: 311 meV per atom
**Total DFT energy (no corrections)**: -2.439 eV per atom

abc: 6.1760 6.1760 5.7598
angles: 90.00 90.00 90.00
Last column: nearest neighbours and their distance in Å.
Space group P4/mmm (No. 123)
Symmetry-distinct sites (fractional):
K: 0.0000 0.0000 0.0000 x1  2 Cl 2.88, 4 P 3.09
Na: 0.5000 0.5000 0.5000 x1  8 P 4.22, 4 Cl 4.37
P: 0.0000 0.5000 0.0000 x2  2 K 3.09
Cl: 0.0000 0.0000 0.5000 x1  2 K 2.88